Repeat everything further down verbatim.

Structure and simulated powder diffraction line list of Sr2Cd12In5 (a crystal structure in Alexandria, relaxed with GGA-PBE; Cu Kα).
Kinematic intensities with the Lorentz-polarization factor, no thermal factor.

The 12 most intense peaks (15 to 90 degrees two-theta), by angle:
d [Å]	2θ (°)	I_rel	h k l
5.333	16.62	18	1 1 0
3.079	29.00	33	3 0 0
2.666	33.61	52	2 2 0
2.613	34.31	100	0 3 3
2.496	35.98	13	2 0 5
2.472	36.34	32	0 0 6
2.347	38.36	90	2 2 3
2.243	40.21	24	1 1 6
1.673	54.89	20	3 3 3
1.539	60.11	29	6 0 0
1.453	64.09	23	0 3 9
1.307	72.31	20	0 6 6

Crystal structure
```
data_Sr2Cd12In5
_chemical_formula_sum 'Sr6 Cd36 In15'
_cell_length_a 10.6651
_cell_length_b 10.6651
_cell_length_c 14.8313
_cell_angle_alpha 90.00
_cell_angle_beta 90.00
_cell_angle_gamma 120.00
_space_group_name_H-M_alt 'R -3 m'
_space_group_IT_number 166
_space_group_name_Hall '-R 3 2"'
loop_
_atom_site_label
_atom_site_fract_x
_atom_site_fract_y
_atom_site_fract_z
_atom_site_occupancy
Sr1 0.0000 0.0000 0.1656 1
Cd1 0.0000 0.3147 0.5000 1
Cd2 0.0172 0.5086 0.6566 1
In1 0.0000 0.0000 0.3995 1
In2 0.0000 0.5000 0.0000 1
```



Structure and simulated powder diffraction line list of SrCd3In9 (a crystal structure in Alexandria, relaxed with GGA-PBE; Cu Kα).
Kinematic intensities with the Lorentz-polarization factor, no thermal factor.

The 12 most intense peaks (15 to 90 degrees two-theta), by angle:
d [Å]	2θ (°)	I_rel	h k l
3.132	28.50	33	1 3 1
3.085	28.94	33	1 3 -2
2.761	32.43	42	1 5 0
2.750	32.56	43	1 5 -1
2.727	32.84	98	0 4 2
2.673	33.52	38	1 1 2
2.645	33.89	59	2 2 0
2.625	34.16	38	1 1 -3
2.608	34.39	58	2 2 -2
2.493	36.02	44	0 6 1
2.390	37.64	100	2 4 -1
2.370	37.97	31	2 0 1

Crystal structure
```
data_SrCd3In9
_chemical_formula_sum 'Sr2 Cd6 In18'
_cell_length_a 5.994
_cell_length_b 15.857
_cell_length_c 8.026
_cell_angle_alpha 90.00
_cell_angle_beta 110.59
_cell_angle_gamma 90.00
_space_group_name_H-M_alt 'C 1 2/m 1'
_space_group_IT_number 12
_space_group_name_Hall '-C 2y'
loop_
_atom_site_label
_atom_site_fract_x
_atom_site_fract_y
_atom_site_fract_z
_atom_site_occupancy
Sr1 0.000 0.000 0.000 1
Cd1 0.000 0.000 0.500 1
Cd2 0.250 0.250 0.000 1
In1 0.000 0.500 0.500 1
In2 0.110 0.394 0.209 1
In3 0.176 0.178 0.356 1
```

=====

No. 1
# MgNbRh2
Simulated powder diffraction line list, copper Kα. Input: a DFT-relaxed cell (PBE, the Materials Project).
Neutral-atom scattering factors, no anomalous dispersion.

Top 10 peaks for 10° ≤ 2θ ≤ 90°, by angle:
2θ = 24.40°, I = 11; 2θ = 28.25°, I = 10; 2θ = 40.38°, I = 100; 2θ = 47.75°, I = 5; 2θ = 50.01°, I = 3; 2θ = 58.43°, I = 16; 2θ = 64.27°, I = 2; 2θ = 66.15°, I = 3; 2θ = 73.43°, I = 33; 2θ = 87.31°, I = 11

abc: 6.3176 6.3176 6.3176
angles: 90.00 90.00 90.00
Atoms (fractional coordinates):
Mg (0.0000, 0.0000, 0.0000)
Mg (0.0000, 0.5000, 0.5000)
Mg (0.5000, 0.0000, 0.5000)
Mg (0.5000, 0.5000, 0.0000)
Nb (0.0000, 0.0000, 0.5000)
Nb (0.0000, 0.5000, 0.0000)
Nb (0.5000, 0.0000, 0.0000)
Nb (0.5000, 0.5000, 0.5000)
Rh (0.2500, 0.2500, 0.2500)
Rh (0.2500, 0.2500, 0.7500)
Rh (0.2500, 0.7500, 0.2500)
Rh (0.2500, 0.7500, 0.7500)
Rh (0.7500, 0.2500, 0.2500)
Rh (0.7500, 0.2500, 0.7500)
Rh (0.7500, 0.7500, 0.2500)
Rh (0.7500, 0.7500, 0.7500)

***

No. 2
# KZnBr3O2
Simulated powder diffraction line list, copper Kα. Input: a DFT-relaxed cell (PBE, the Materials Project).
Neutral-atom scattering factors, no anomalous dispersion.

Top 10 peaks for 10° ≤ 2θ ≤ 90°, by angle:
2θ = 15.60°, I = 50; 2θ = 17.81°, I = 39; 2θ = 23.25°, I = 43; 2θ = 25.18°, I = 100; 2θ = 26.22°, I = 86; 2θ = 28.06°, I = 58; 2θ = 30.64°, I = 63; 2θ = 32.19°, I = 29; 2θ = 43.91°, I = 40; 2θ = 46.79°, I = 37

abc: 7.3479 8.9604 13.5445
angles: 90.00 90.00 90.00
Atoms (fractional coordinates):
K (0.1033, 0.0316, 0.0920)
K (0.3967, 0.9684, 0.5920)
K (0.6033, 0.4684, 0.9080)
K (0.8967, 0.5316, 0.4080)
Zn (0.1735, 0.4754, 0.0877)
Zn (0.3265, 0.5246, 0.5877)
Zn (0.6735, 0.0246, 0.9123)
Zn (0.8265, 0.9754, 0.4123)
Br (0.0968, 0.3564, 0.9377)

Structure and simulated powder diffraction line list of Sr2Cd12In5 (a crystal structure in Alexandria, relaxed with GGA-PBE; Cu Kα).
Kinematic intensities with the Lorentz-polarization factor, no thermal factor.

The 12 most intense peaks (15 to 90 degrees two-theta), by angle:
d [Å]	2θ (°)	I_rel	h k l
5.333	16.62	18	1 1 0
3.079	29.00	33	3 0 0
2.666	33.61	52	2 2 0
2.613	34.31	100	0 3 3
2.496	35.98	13	2 0 5
2.472	36.34	32	0 0 6
2.347	38.36	90	2 2 3
2.243	40.21	24	1 1 6
1.673	54.89	20	3 3 3
1.539	60.11	29	6 0 0
1.453	64.09	23	0 3 9
1.307	72.31	20	0 6 6

Crystal structure
```
data_Sr2Cd12In5
_chemical_formula_sum 'Sr6 Cd36 In15'
_cell_length_a 10.6651
_cell_length_b 10.6651
_cell_length_c 14.8313
_cell_angle_alpha 90.00
_cell_angle_beta 90.00
_cell_angle_gamma 120.00
_space_group_name_H-M_alt 'R -3 m'
_space_group_IT_number 166
_space_group_name_Hall '-R 3 2"'
loop_
_atom_site_label
_atom_site_fract_x
_atom_site_fract_y
_atom_site_fract_z
_atom_site_occupancy
Sr1 0.0000 0.0000 0.1656 1
Cd1 0.0000 0.3147 0.5000 1
Cd2 0.0172 0.5086 0.6566 1
In1 0.0000 0.0000 0.3995 1
In2 0.0000 0.5000 0.0000 1
```



Structure and simulated powder diffraction line list of SrCd3In9 (a crystal structure in Alexandria, relaxed with GGA-PBE; Cu Kα).
Kinematic intensities with the Lorentz-polarization factor, no thermal factor.

The 12 most intense peaks (15 to 90 degrees two-theta), by angle:
d [Å]	2θ (°)	I_rel	h k l
3.132	28.50	33	1 3 1
3.085	28.94	33	1 3 -2
2.761	32.43	42	1 5 0
2.750	32.56	43	1 5 -1
2.727	32.84	98	0 4 2
2.673	33.52	38	1 1 2
2.645	33.89	59	2 2 0
2.625	34.16	38	1 1 -3
2.608	34.39	58	2 2 -2
2.493	36.02	44	0 6 1
2.390	37.64	100	2 4 -1
2.370	37.97	31	2 0 1

Crystal structure
```
data_SrCd3In9
_chemical_formula_sum 'Sr2 Cd6 In18'
_cell_length_a 5.994
_cell_length_b 15.857
_cell_length_c 8.026
_cell_angle_alpha 90.00
_cell_angle_beta 110.59
_cell_angle_gamma 90.00
_space_group_name_H-M_alt 'C 1 2/m 1'
_space_group_IT_number 12
_space_group_name_Hall '-C 2y'
loop_
_atom_site_label
_atom_site_fract_x
_atom_site_fract_y
_atom_site_fract_z
_atom_site_occupancy
Sr1 0.000 0.000 0.000 1
Cd1 0.000 0.000 0.500 1
Cd2 0.250 0.250 0.000 1
In1 0.000 0.500 0.500 1
In2 0.110 0.394 0.209 1
In3 0.176 0.178 0.356 1
```

=====

No. 1
# MgNbRh2
Simulated powder diffraction line list, copper Kα. Input: a DFT-relaxed cell (PBE, the Materials Project).
Neutral-atom scattering factors, no anomalous dispersion.

Top 10 peaks for 10° ≤ 2θ ≤ 90°, by angle:
2θ = 24.40°, I = 11; 2θ = 28.25°, I = 10; 2θ = 40.38°, I = 100; 2θ = 47.75°, I = 5; 2θ = 50.01°, I = 3; 2θ = 58.43°, I = 16; 2θ = 64.27°, I = 2; 2θ = 66.15°, I = 3; 2θ = 73.43°, I = 33; 2θ = 87.31°, I = 11

abc: 6.3176 6.3176 6.3176
angles: 90.00 90.00 90.00
Atoms (fractional coordinates):
Mg (0.0000, 0.0000, 0.0000)
Mg (0.0000, 0.5000, 0.5000)
Mg (0.5000, 0.0000, 0.5000)
Mg (0.5000, 0.5000, 0.0000)
Nb (0.0000, 0.0000, 0.5000)
Nb (0.0000, 0.5000, 0.0000)
Nb (0.5000, 0.0000, 0.0000)
Nb (0.5000, 0.5000, 0.5000)
Rh (0.2500, 0.2500, 0.2500)
Rh (0.2500, 0.2500, 0.7500)
Rh (0.2500, 0.7500, 0.2500)
Rh (0.2500, 0.7500, 0.7500)
Rh (0.7500, 0.2500, 0.2500)
Rh (0.7500, 0.2500, 0.7500)
Rh (0.7500, 0.7500, 0.2500)
Rh (0.7500, 0.7500, 0.7500)

***

No. 2
# KZnBr3O2
Simulated powder diffraction line list, copper Kα. Input: a DFT-relaxed cell (PBE, the Materials Project).
Neutral-atom scattering factors, no anomalous dispersion.

Top 10 peaks for 10° ≤ 2θ ≤ 90°, by angle:
2θ = 15.60°, I = 50; 2θ = 17.81°, I = 39; 2θ = 23.25°, I = 43; 2θ = 25.18°, I = 100; 2θ = 26.22°, I = 86; 2θ = 28.06°, I = 58; 2θ = 30.64°, I = 63; 2θ = 32.19°, I = 29; 2θ = 43.91°, I = 40; 2θ = 46.79°, I = 37

abc: 7.3479 8.9604 13.5445
angles: 90.00 90.00 90.00
Atoms (fractional coordinates):
K (0.1033, 0.0316, 0.0920)
K (0.3967, 0.9684, 0.5920)
K (0.6033, 0.4684, 0.9080)
K (0.8967, 0.5316, 0.4080)
Zn (0.1735, 0.4754, 0.0877)
Zn (0.3265, 0.5246, 0.5877)
Zn (0.6735, 0.0246, 0.9123)
Zn (0.8265, 0.9754, 0.4123)
Br (0.0968, 0.3564, 0.9377)